10
Lattice="-3.9975 -1.2862 -6.6873 6.2261 -3.8314 -2.9849 -1.2438 -3.0587 1.3318" Properties=species:S:1:pos:R:3 comment="BiSb2Pt2 (PBE, relaxed)" e_form_raw_mev_per_atom=-143 final_energy_ev_per_atom=-4.98 relative_energy_mev_per_atom=0.0 pbc="T T T"
Pt 0.4415 -3.5320 -7.6996
Pt 3.9383 -3.8108 -5.0741
Pt -1.7097 -1.3068 -4.5981
Pt 1.7871 -1.5856 -1.9726
Bi 1.1143 -2.5588 -4.8361
Bi 0.0000 0.0000 0.0000
Sb -1.0219 -2.5705 -2.0988
Sb 2.8397 -4.2453 -2.3391
Sb -1.8548 -3.9310 -6.0013
Sb 2.0067 -5.6058 -6.2416
Find the line above that holds "0.0000", then quote that line and all lines after it there, please.
Bi 0.0000 0.0000 0.0000
Sb -1.0219 -2.5705 -2.0988
Sb 2.8397 -4.2453 -2.3391
Sb -1.8548 -3.9310 -6.0013
Sb 2.0067 -5.6058 -6.2416